Tuesday, February 3, 2009

Lou's back

Hi Everyone,
Hope you are all enjoying the snow. We have been telling everyone about it here. Some say "i wish it snowed" as most have never experienced snow. i'm still enjoying the sunshine :-) my skin is still recovering from the swimming pool sunburn. please pray for emily as she is flying back and starts her journey in about 3 hours. I have had an amazing day with malcom and emily, we went back to one of the places we previously visited. it was so so so so nice to have the day with the children. We went to visit a school but then just hung around the centre. It was so nice. The children were children, when i am with them it is so easy to forget they have nearly nothing and live in absoulute poverty. Thier little faces they are just so amazing and so are the people who work with them. I have to confess i had my first public cry today and i didn't think i was going to stop my eyes just kept leaking :-) ops it was after reading something malcom showed me i will have to show you all a copy at some point. It's all about the difference just one can make. Thats the biggest inner struggle here, There is just so much need. You all know me, i have no money to give...bless you all and thanks again for supporting me to come out here it's meant so much to me! So, unable to give much you are just left with this huge burden to do something but left with the question what is it I can do? Anyways after my blub we went and treated the children to some brownies which sounds silly but Kathy one of the workers says she sees the children walking past this store looking at the cakes. How many of us would just buy them but some of these children would long for a treat like that. I loved being able to give them something to enjoy it was great. Best of all was the games we played with them and the beading and braclets we sat and made. The rest of the team sounded like they had amazing days as well. Thank you all so much for your prayers. God has blessed us so much. They know how to celebrate birthdays out here! Never again will i sing the boring version of happy birthday. Love to you all, keep warm.


Anonymous said...

Miss you! It is so good to hear what you are doing it helps in some way to feel connected, and easier to pray.Sunshine sounds awesome the snow has stopped play this week big time in Mansfield.Love you loads Lou Ruth x

Anonymous said...

Hi Lou.I can just see you playing with the kids,buying them brownies making bracelets with them and playing games with them!!Just being you!!Laughing,singing crying! You have given them of your-self that is a gift they will never forget!! So looking forward to seeing you all again and hearing you tell us about it all.
It's the end of another day for you.I wonder what you all will be up to the next 3 days.We continue to pray for you and everyone.Love John and Inge.

Anonymous said...

Hi Lou, its so amazing to read of your day and so good to chat.What a shame youve missed the snow,take care lots of love Gail xx

Anonymous said...

Hi Lou, its so amazing to read of your day and so good to chat.What a shame youve missed the snow,take care lots of love Gail xx

These calculated crystals were left in the text by mistake.
<<<
The following is a simulated powder XRD pattern of Pa2CoRh2. It was derived from a GGA-PBE-relaxed structure, using a wavelength of 1.5418 Å.
Intensities are scaled so that the largest is 100.

Structure:
a b c (Å): 6.2640 8.0172 3.7701
angles (deg): 90.00 90.00 90.00
Space group Pbam (No. 55)
Inequivalent atoms, fractional coordinates:
Pa (0.2395, 0.1139, 0.0000) [4 per cell]
Co (0.0000, 0.5000, 0.5000) [2 per cell]
Rh (0.1132, 0.8380, 0.5000) [4 per cell]

Largest 12 diffraction maxima, by angle, 2θ = 10–80°:
| two_theta | Rel. int. | (hkl) |
| --- | --- | --- |
| 26.4 | 34 | 1 2 0 |
| 28.5 | 17 | 2 0 0 |
| 35.7 | 100 | 1 2 1 |
| 37.3 | 40 | 2 0 1 |
| 39.0 | 11 | 2 1 1 |
| 45.2 | 10 | 0 4 0 |
| 48.3 | 17 | 0 0 2 |
| 49.2 | 23 | 3 2 0 |
| 54.3 | 11 | 2 4 0 |
| 55.9 | 10 | 1 2 2 |
| 60.0 | 11 | 2 4 1 |
| 71.4 | 15 | 3 2 2 |


The following is a theoretical powder X-ray diffraction pattern of Ac2PmP3. It was derived from a cell relaxed with PBE, using copper Kα.

Atomic structure:
```
Ac2PmP3
1.0
0.000 6.147 13.037
4.347 0.000 13.037
4.347 6.147 0.000
Ac Pm P
8 4 12
Cartesian
1.087 1.537 1.095
3.260 4.611 3.247
1.087 1.537 5.424
5.433 7.684 9.766
3.260 4.611 16.309
7.607 10.758 20.651
5.433 7.684 22.828
7.607 10.758 24.980
3.260 4.611 7.601
3.260 4.611 11.955
5.433 7.684 14.119
5.433 7.684 18.474
3.311 1.606 7.547
5.329 4.611 9.778
3.209 1.606 12.009
5.382 4.680 14.066
7.503 7.684 16.297
5.484 4.680 18.528
3.209 7.615 7.547
1.191 4.611 9.778
3.311 7.615 12.009
5.484 10.689 14.066
3.364 7.684 16.297
5.382 10.689 18.528
```

The 6 most intense peaks (10° ≤ 2θ ≤ 80°), by intensity:
2θ = 29.05°, I 100
2θ = 25.09°, I 99
2θ = 41.55°, I 76
2θ = 49.16°, I 52
2θ = 68.23°, I 35
2θ = 51.50°, I 27

The following is a theoretical powder X-ray diffraction pattern of AcPPt3. It was derived from a cell relaxed with PBE, using copper Kα.

Atomic structure:
```
AcPPt3
1.0
4.194 0.000 0.000
0.000 4.194 0.000
0.000 0.000 11.036
Ac P Pt
2 2 6
Cartesian
0.000 0.000 0.000
2.097 2.097 5.518
0.000 0.000 4.035
2.097 2.097 9.554
0.000 0.000 6.386
0.000 2.097 2.838
0.000 2.097 8.356
2.097 0.000 2.838
2.097 0.000 8.356
2.097 2.097 0.868
```

The 6 most intense peaks (10° ≤ 2θ ≤ 80°), by intensity:
2θ = 34.33°, I 100
2θ = 32.41°, I 35
2θ = 43.14°, I 35
2θ = 54.98°, I 24
2θ = 73.43°, I 23
2θ = 46.49°, I 14

The following is a theoretical powder X-ray diffraction pattern of RbAcP2Pt4. It was derived from a cell relaxed with PBE, using copper Kα.

Atomic structure:
```
RbAcP2Pt4
1.0
4.188 0.000 0.000
0.000 4.188 0.000
0.000 0.000 11.133
Rb Ac P Pt
1 1 2 4
Cartesian
0.000 0.000 0.000
0.000 0.000 5.567
2.094 2.094 2.163
2.094 2.094 8.970
0.000 2.094 3.214
0.000 2.094 7.919
2.094 0.000 3.214
2.094 0.000 7.919
```

The 6 most intense peaks (10° ≤ 2θ ≤ 80°), by intensity:
2θ = 34.30°, I 100
2θ = 38.90°, I 47
2θ = 43.21°, I 39
2θ = 15.92°, I 32
2θ = 26.64°, I 28
2θ = 73.51°, I 23
>>>

Anonymous said...


You are giving your love and time which counts much more than money.
The children will always remember you playing with them.

God bless you all.